Schrodinger, Heisenberg, Feynman...there is more than one formal development of quantum physics. The problem of this day is integrating quantum physics with gravitational physics. The Algebraic construction described by Robert Wald in a recent paper could be a fourth such formalism. The well constructed theories of quantum gravity conform to what he wrote in his paper (or chronologically his paper inadvertently describes the general formalism that has gone into LQG, String/M-theory, and even my little theory of quantum gravity).
There are a number of axiomatizeations of quantum theory. Schrodingers wave mechanics, Heisenberg's matrix mechanics, and Feynman's path integral formulation (which while used mostly for interacting field theory can be used for quantum theory as well) and some physicist such as the man I learned quantum theory from like to mix their own set of axioms. The following construction could be used for all of quantum mechanics but I will focus on quantum gravity.
Wald's algebraic construction:
I have worked on quantum gravity independently for quite some time. I have also dabbled in traditional quantum field theory in curved space time. In loop quantum gravity, M(atrix) theory, and my theory, each proposes what seem to be very different things. Then I read a paper by Robert Wald of the university of Chicago "The Formulation of Quantum Field Theory in Curved Spacetime" arXiv:0907.0416v1. In which he proposes the following.
The algebraic approach: In the algebraic approach, instead of starting with a Hilbert space of states and then defining the field observables as operators on this Hilbert space, one starts with a *-algebra, A, of field observables. A state, ω, is simply a linear map ω : A → C that satisfies the positivity condition ω(A∗A) ≥ 0 for all A ∈ A. The quantity ω(A) is interpreted as the expectation value of the observable A in the state ω. If H is a Hilbert space which carries a representation, π, of A, and ifthen the map ω : A → C given by
defines a state on A in the above sense.Dr. Wald then explains how a Hilbert space representation of A can be found by way of the Gelfand–Naimark–Segal construction. He states that
The key difference is that, by adopting the algebraic approach, one may simultaneously consider all states arising in all Hilbert space constructions of the theory without having to make a particular choice of representation at the outset. It is particularly important to proceed in this manner in, e.g., studies of phenomena in the early universe, so as not to prejudice in advance which states might be present.This statement makes me think of the various theories of quantum gravity.
In his paper he goes on to take on the remaining assumptions that go into quantum field theory in flat space-time and postulate replacements for each of them.
- Spectrum condition --->micro local spectrum condition
- Global poincare invariance ---> local poincare invariance*
- "...the condition that at spacelike separations quantum fields either commute or anticommute generalizes straightforwardly to curved spacetime."
I am going to say that this construction of quantum field theory in curved space time is more than just a QFT for a fixed curved space-time. Wald has set out a recipe for the quantization of space-time itself, which is what is done in two seemingly incompatible ways in Loop Quantum Gravity, and in my theory Quantum Space-time dynamics. Even string theory could likely be formulated in a way which would conform to Walds recipe! All any fundamental theory of physics is just a algebra of field observables. Once one has an acceptable algebra of field observables the rest follows naturally if one knows of this.
~~~
DFT (ωB97M-V/def2-TZVPD) results for C55H44ClN3O4PSiV as an isolated structure.

Last column: Löwdin charge in e.
Element x y z (Å)
V1 -0.256 0.784 -0.042  0.851
Cl1 2.562 -3.766 4.856  0.591
C1 1.782 -3.003 3.484  -0.693
C2 1.925 -3.560 2.217  -0.121
C3 1.310 -2.939 1.146  -0.018
C4 0.558 -1.756 1.277  -0.352
O1 0.013 -1.237 0.208  -0.229
C5 0.421 -1.206 2.592  -0.170
C6 -0.389 -0.067 2.877  -0.087
N1 -0.960 0.694 1.939  -0.012
C7 -1.930 1.593 2.247  -0.230
C8 -2.342 2.006 3.527  -0.037
C9 -3.385 2.920 3.676  -0.114
C10 -4.067 3.447 2.600  -0.081
C11 -3.696 3.052 1.292  -0.164
C12 -4.327 3.517 0.123  -0.024
C13 -3.896 3.091 -1.112  -0.066
C14 -2.825 2.199 -1.183  -0.125
N2 -2.219 1.730 -0.106  0.014
C15 -2.628 2.135 1.119  -0.147
C16 1.043 -1.862 3.673  -0.100
H1 2.506 -4.462 2.081  0.097
H2 1.390 -3.366 0.153  0.111
H3 -0.609 0.119 3.925  0.098
H4 -1.848 1.628 4.411  0.082
H5 -3.666 3.223 4.679  0.094
H6 -4.879 4.152 2.734  0.093
H7 -5.151 4.217 0.212  0.109
H8 -4.365 3.438 -2.024  0.098
H9 -2.445 1.859 -2.138  0.114
H10 0.935 -1.450 4.671  0.106
O2 0.340 0.837 -2.305  -0.040
C17 -0.601 0.188 -1.818  -0.399
C18 -1.375 -0.762 -2.674  -0.180
C19 -1.059 -0.819 -4.033  -0.021
C20 -1.748 -1.662 -4.883  -0.081
C21 -2.771 -2.458 -4.379  -0.084
C22 -3.086 -2.410 -3.031  -0.093
C23 -2.390 -1.573 -2.154  -0.283
P1 -2.793 -1.522 -0.351  1.157
C24 -4.610 -1.809 -0.464  -0.364
C25 -5.245 -3.037 -0.290  -0.095
C26 -6.629 -3.139 -0.371  -0.095
C27 -7.399 -2.013 -0.625  -0.107
C28 -6.778 -0.780 -0.787  -0.092
C29 -5.398 -0.679 -0.697  -0.094
C30 -2.207 -3.147 0.250  -0.378
C31 -2.262 -3.334 1.632  -0.104
C32 -1.803 -4.505 2.213  -0.082
C33 -1.262 -5.507 1.419  -0.100
C34 -1.184 -5.324 0.046  -0.092
C35 -1.653 -4.152 -0.536  -0.080
H11 -0.254 -0.186 -4.386  0.116
H12 -1.494 -1.702 -5.936  0.098
H13 -3.324 -3.118 -5.036  0.098
H14 -3.886 -3.035 -2.654  0.101
H15 -4.652 -3.922 -0.090  0.100
H16 -7.105 -4.102 -0.233  0.096
H17 -8.477 -2.091 -0.687  0.093
H18 -7.371 0.108 -0.972  0.098
H19 -4.922 0.291 -0.801  0.087
H20 -2.646 -2.537 2.262  0.110
H21 -1.838 -4.622 3.289  0.103
H22 -0.880 -6.413 1.871  0.097
H23 -0.743 -6.092 -0.579  0.098
H24 -1.568 -4.019 -1.607  0.098
C36 0.788 5.165 0.373  0.019
C37 0.651 3.694 0.650  -0.529
N3 1.200 3.238 1.790  0.206
O3 0.050 2.958 -0.133  -0.021
H25 0.529 5.750 1.256  0.084
H26 0.140 5.433 -0.456  0.089
H27 1.825 5.377 0.101  0.071
H28 1.835 3.829 2.296  0.113
H29 1.343 2.230 1.824  0.081
O4 1.594 0.905 0.389  -0.371
Si1 3.060 0.937 -0.248  0.511
C38 3.496 2.685 -0.828  -0.212
C39 2.843 3.194 -1.958  -0.083
C40 3.114 4.473 -2.427  -0.091
C41 4.042 5.275 -1.770  -0.118
C42 4.691 4.792 -0.642  -0.108
C43 4.419 3.507 -0.181  -0.095
C44 3.321 -0.173 -1.742  -0.199
C45 4.323 0.106 -2.672  -0.099
C46 4.545 -0.725 -3.764  -0.102
C47 3.758 -1.853 -3.944  -0.107
C48 2.754 -2.145 -3.029  -0.082
C49 2.542 -1.316 -1.937  -0.069
C50 4.281 0.425 1.093  -0.204
C51 3.800 0.047 2.348  -0.073
C52 4.659 -0.399 3.346  -0.082
~~~
End of the calculated molecules
Examples LQG and Quantum Space-Time Dynamics:
According to Carlo Roveli Loop Quantum Gravity is a algebra of fields defined on a manifold one of which is space-time.
One can still describe spacetime as a (differentiable) manifold (a space without metric structure), over which quantum fields live. A classical metric structure will then be defined only by expectation values of the gravitational field operator.With the algebra of the field being a loop algebra.
I wrote in my book on Quantum Space-Time Dynamics about an operator S the eigenvalues of which are equivalent to possible metrics, s, in general relativity. The metric does not make an appearance in the theory until that point. It is derived from the algebra of the operators which I discovered after I had worked out the physical consequences of the theory as being the lie group and algebra F(4). It could be more orthodoxly formulated in terms of Hurwitz quanternions. However the representation seen in my book, I feel, has the advantage of seeming familiar and being more physically intuitive.
I am certain that string/M theory can also be shown to conform to Dr. Walds general prescription.
The payoff
Wald has done something that I suspected was possible, that LQG theorist have thought was possible, he has provided the framework in which non string quantum gravity and string theory can look the same. Perhaps LQG and string theory could be unified using this construction. LQG/or my theory describing gravity and space time, String theory describing every thing else. My own theory already has room for this because in this theory "everything else" already has an operator T to describe it.
A theory of quantum gravity and possibly everything else that may be in the universe is close at hand.